A panel discussion on 'Gender perspectives in
sustainable development' presented by UNDESA/Division for the Advancement
of Women (DAW) and the Women's Environment
and Development Organization (WEDO)
was held in New York on 3 April 2002 during the Third Preparatory
Committee of the World Summit on Sustainable Development
The panel was moderated by Ms. Carolyn Hannan,
Director, DAW. Ms. Hannan highlighted difficulties
with getting gender perspectives incorporated into the WSSD process.
She noted that gender perspectives are often neglected, and cited
Agenda 21's compartmentalization of women as a major group as
a contributing factor. Emphasizing that women are part of all
major groups, she stressed the need to address women's priorities
in all areas of Agenda 21.
The panellist were:
# DyFe10Re2

A relaxed structure of DyFe10Re2 (PBE, the Materials Project).

Summary:
- Formation energy from the elements: -37 meV/atom
- Total energy: -8.82 eV/atom

Cell lengths 4.6980, 8.4854, 8.6382 Å; angles 90.00, 90.00, 90.00 degrees
Last column: nearest neighbours and their distance in Å.
Space group Immm (No. 71)
Symmetry-distinct sites (fractional):
Dy (0.0000, 0.0000, 0.0000)  18 Fe 3.01-3.25, 2 Re 3.09
Fe (0.0000, 0.2783, 0.5000)  8 Fe 2.47-2.72, 2 Re 2.66
Fe (0.0000, 0.3593, 0.0000)  9 Fe 2.39-2.64
Fe (0.0000, 0.5000, 0.2721)  8 Fe 2.43-2.72, 2 Re 2.60
Fe (0.2500, 0.2500, 0.2500)  8 Fe 2.35-2.63, 2 Re 2.60
Re (0.0000, 0.0000, 0.3578)  1 Re 2.46, 8 Fe 2.60-2.66

=====

Record 1
First-principles (PBE) data for PrTaO4 after structural relaxation, as listed in Materials Project.

Summary:
ρ in g cm⁻³: 7.768
E_tot in eV per formula unit: -55.6
Formation enthalpy at 0 K in kJ per mole of atoms: -352.1
SG: P2_1/c, No. 14

a = 7.7298 Å, b = 5.5566 Å, c = 7.8086 Å
α = 90.00°, β = 100.36°, γ = 90.00°
Closest atoms and distances in Å follow each position.
Fractional coordinates of all 24 atoms:
Pr (0.1523, 0.2213, 0.3987)  6 O 2.35-2.56
Pr (0.1523, 0.2787, 0.8987)  6 O 2.35-2.56
Pr (0.8477, 0.7213, 0.1013)  6 O 2.35-2.56
Pr (0.8477, 0.7787, 0.6013)  6 O 2.35-2.56
Ta (0.3347, 0.7330, 0.1941)  6 O 1.93-2.07
Ta (0.3347, 0.7670, 0.6941)  6 O 1.93-2.07
Ta (0.6653, 0.2330, 0.3059)  6 O 1.93-2.07
Ta (0.6653, 0.2670, 0.8059)  6 O 1.93-2.07
O (0.1172, 0.5164, 0.1708)  1 Ta 2.05
O (0.1172, 0.9836, 0.6708)  1 Ta 2.05
O (0.1705, 0.5072, 0.6304)  1 Ta 1.93
O (0.1705, 0.9928, 0.1304)  1 Ta 1.93
O (0.3321, 0.6534, 0.9449)  2 Ta 1.99-2.06
O (0.3321, 0.8466, 0.4449)  2 Ta 1.99-2.06
O (0.4434, 0.0889, 0.7952)  2 Ta 1.97-2.07
O (0.4434, 0.4111, 0.2952)  2 Ta 1.97-2.07
O (0.5566, 0.5889, 0.7048)  2 Ta 1.97-2.07
O (0.5566, 0.9111, 0.2048)  2 Ta 1.97-2.07
O (0.6679, 0.1534, 0.5551)  2 Ta 1.99-2.06
O (0.6679, 0.3466, 0.0551)  2 Ta 1.99-2.06
O (0.8295, 0.0072, 0.8696)  1 Ta 1.93
O (0.8295, 0.4928, 0.3696)  1 Ta 1.93
O (0.8828, 0.0164, 0.3292)  1 Ta 2.05
O (0.8828, 0.4836, 0.8292)  1 Ta 2.05

Record 2
First-principles (PBE) data for PrTaTiO6 after structural relaxation, as listed in Materials Project.

Summary:
ρ in g cm⁻³: 6.778
E_tot in eV per formula unit: -82.7
Formation enthalpy at 0 K in kJ per mole of atoms: -349.2
SG: Pna2_1, No. 33

a = 11.0969 Å, b = 5.4271 Å, c = 7.5779 Å
α = 90.00°, β = 90.00°, γ = 90.00°
Closest atoms and distances in Å follow each position.
Fractional coordinates of all 36 atoms:
Pr (0.0433, 0.0442, 0.0000)  8 O 2.45-2.55
Pr (0.4567, 0.5442, 0.5000)  8 O 2.45-2.55
Pr (0.5433, 0.4558, 0.0000)  8 O 2.45-2.55
Pr (0.9567, 0.9558, 0.5000)  8 O 2.45-2.55
Ta (0.1437, 0.5380, 0.2567)  5 O 1.91-2.03
Ta (0.3563, 0.0380, 0.7567)  5 O 1.91-2.03
Ta (0.6437, 0.9620, 0.2567)  5 O 1.91-2.03
Ta (0.8563, 0.4620, 0.7567)  5 O 1.91-2.03
Ti (0.1432, 0.5350, 0.7445)  5 O 1.87-2.02
Ti (0.3568, 0.0350, 0.2445)  5 O 1.87-2.02
Here the entry continues:
- Irene Dankelman,
WEDO, reflected that since UNCED, the profile of women's priorities
has risen significantly on the political agenda, although few
governments have integrated gender perspectives into policies.
She noted that the Women's Caucus is now fighting not only to
get a separate section on gender into the Chairman's paper, but
also to integrate gender perspectives into the entire document.
- Minu Hemmati,
Stakeholder Forum for Our Common Future, discussed
'type 2' outcomes, noting concerns that such output could be dominated
by corporations or used to deflect responsibility from governments,
but suggested women's involvement therein would add quality and
credibility and provide a useful resource for addressing inequality.
- Jennifer Francis,
Gender and Water Alliance, stressed the need to: increase women's
participation in water resources management; incorporate gender
perspectives in all policies and programmes and in all sectors;
disaggregate all data according to sex and social indicators;
institutionalize gender perspectives in all organizations; and
build women's technical and scientific capacity.
- Amy Hindman, UNEP,
presented a paper written by Ms. Njeri Wamukonya and discussed
how taking advantage of globalization and privatization can facilitate
gender mainstreaming. Citing the privatization of energy in Africa
as an example, she highlighted the benefits of packaging energy
as an input to income generation, and said gender mainstreaming
in this context is enabling men and women to access energy while
also taking advantage of opportunities to alleviate poverty.
A brief
summary was published by the International Institute for Sustainable
development on their web site, in cooperation with UNDP.
For more information:
Carolyn Hannan: hannan@un.org
Irene Dankelman: irenedankelman@hotmail.com
Minu Hemmati: minush@aol.com
Jennifer Francis: francis@irc.org
Amy Hindman: amy.hindman@unep.org